Contents >
........
The following is a calculated powder XRD pattern of KErAuS2. It was derived from a PBE-relaxed structure, using Cu Ka.

Largest 6 diffraction maxima, low angle first, 10 to 80 degrees two-theta:
12.30°, I = 100
24.75°, I = 22
29.88°, I = 22
30.83°, I = 32
33.95°, I = 30
36.45°, I = 20

Cell and atoms:
a b c (Å): 7.2949 4.9743 7.5889
angles (deg): 90.00 99.51 90.00
Space group P2/c (No. 13)
Symmetry-distinct sites (fractional):
1 K 0.0000 0.1376 0.2500 x2
2 Er 0.5000 0.4933 0.7500 x2
3 Au 0.5000 0.0000 0.0000 x2
4 S 0.2565 0.3531 0.9635 x4

=====

The following is a calculated powder XRD pattern of KEr2Te4Au. It was derived from a PBE-relaxed structure, using Cu Ka.

Largest 6 diffraction maxima, low angle first, 10 to 80 degrees two-theta:
13.10°, I = 90
27.65°, I = 32
29.39°, I = 100
32.10°, I = 26
40.33°, I = 63
41.13°, I = 31

Cell and atoms:
a b c (Å): 4.3895 14.9795 15.6785
angles (deg): 90.00 90.00 90.00
Space group Cmcm (No. 63)
Symmetry-distinct sites (fractional):
1 K 0.0000 0.1325 0.2500 x4
2 Er 0.0000 0.3706 0.0732 x8
3 Te 0.0000 0.0000 0.0000 x4
4 Te 0.0000 0.2660 0.6046 x8
5 Te 0.0000 0.4558 0.2500 x4
6 Au 0.0000 0.1563 0.7500 x4

=====

The following is a calculated powder XRD pattern of LaEr2Au4. It was derived from a PBE-relaxed structure, using Cu Ka.

Largest 6 diffraction maxima, low angle first, 10 to 80 degrees two-theta:
35.34°, I = 53
36.01°, I = 100
50.84°, I = 19
63.87°, I = 38
65.17°, I = 17
76.37°, I = 11

Cell and atoms:
a b c (Å): 5.0802 5.0802 6.9312
angles (deg): 90.00 90.00 90.00
Space group P4/mmm (No. 123)
Symmetry-distinct sites (fractional):
1 La 0.0000 0.0000 0.0000 x1
2 Er 0.0000 0.0000 0.5000 x1
3 Er 0.5000 0.5000 0.0000 x1
4 Au 0.0000 0.5000 0.2630 x4

=====

The following is a calculated powder XRD pattern of La2ErAu3. It was derived from a PBE-relaxed structure, using Cu Ka.

Largest 6 diffraction maxima, low angle first, 10 to 80 degrees two-theta:
33.49°, I = 24
34.27°, I = 100
34.64°, I = 25
48.95°, I = 16
60.37°, I = 14
61.85°, I = 28

Cell and atoms:
a b c (Å): 5.1794 16.0537 3.6797
angles (deg): 90.00 90.00 90.00
Space group Pmmn (No. 59, origin choice 2)
Symmetry-distinct sites (fractional):
1 La 0.2500 0.0808 0.0147 x4
2 Er 0.2500 0.7500 0.9882 x2
3 Au 0.2500 0.2500 0.5083 x2
4 Au 0.2500 0.6004 0.4862 x4


Computed powder diffractogram
Compound: Mg2ZnSn
Radiation: λ = 1.5418 Å (Cu Kα)
Structure: DFT lattice parameters and positions (PBE)

```
Mg2ZnSn
1.0
7.0364 0.0000 0.0000
0.0000 7.0364 0.0000
0.0000 0.0000 7.0364
Mg Zn Sn
8 4 4
Cartesian
0.0000 0.0000 0.0000
0.0000 3.5182 3.5182
1.7591 1.7591 1.7591
1.7591 5.2773 5.2773
3.5182 0.0000 3.5182
3.5182 3.5182 0.0000
5.2773 1.7591 5.2773
5.2773 5.2773 1.7591
1.7591 1.7591 5.2773
1.7591 5.2773 1.7591
5.2773 1.7591 1.7591
5.2773 5.2773 5.2773
0.0000 0.0000 3.5182
0.0000 3.5182 0.0000
3.5182 0.0000 0.0000
3.5182 3.5182 3.5182
```

Peak list (6 most intense, 2θ from 5° to 70°, in order of falling intensity)
| Position (°2θ) | d (Å) | I_rel |
| --- | --- | --- |
| 36.1 | 2.488 | 100 |
| 21.9 | 4.062 | 43 |
| 64.9 | 1.436 | 36 |
| 42.6 | 2.122 | 24 |
| 52.0 | 1.759 | 17 |
| 57.1 | 1.614 | 10 |
........

Exercise >
Please restate only the last part of the entries further up, starting with the line that has "KErAuS2. It".

Done >
The following is a calculated powder XRD pattern of KErAuS2. It was derived from a PBE-relaxed structure, using Cu Ka.

Largest 6 diffraction maxima, low angle first, 10 to 80 degrees two-theta:
12.30°, I = 100
24.75°, I = 22
29.88°, I = 22
30.83°, I = 32
33.95°, I = 30
36.45°, I = 20

Cell and atoms:
a b c (Å): 7.2949 4.9743 7.5889
angles (deg): 90.00 99.51 90.00
Space group P2/c (No. 13)
Symmetry-distinct sites (fractional):
1 K 0.0000 0.1376 0.2500 x2
2 Er 0.5000 0.4933 0.7500 x2
3 Au 0.5000 0.0000 0.0000 x2
4 S 0.2565 0.3531 0.9635 x4

=====

The following is a calculated powder XRD pattern of KEr2Te4Au. It was derived from a PBE-relaxed structure, using Cu Ka.

Largest 6 diffraction maxima, low angle first, 10 to 80 degrees two-theta:
13.10°, I = 90
27.65°, I = 32
29.39°, I = 100
32.10°, I = 26
40.33°, I = 63
41.13°, I = 31

Cell and atoms:
a b c (Å): 4.3895 14.9795 15.6785
angles (deg): 90.00 90.00 90.00
Space group Cmcm (No. 63)
Symmetry-distinct sites (fractional):
1 K 0.0000 0.1325 0.2500 x4
2 Er 0.0000 0.3706 0.0732 x8
3 Te 0.0000 0.0000 0.0000 x4
4 Te 0.0000 0.2660 0.6046 x8
5 Te 0.0000 0.4558 0.2500 x4
6 Au 0.0000 0.1563 0.7500 x4

=====

The following is a calculated powder XRD pattern of LaEr2Au4. It was derived from a PBE-relaxed structure, using Cu Ka.

Largest 6 diffraction maxima, low angle first, 10 to 80 degrees two-theta:
35.34°, I = 53
36.01°, I = 100
50.84°, I = 19
63.87°, I = 38
65.17°, I = 17
76.37°, I = 11

Cell and atoms:
a b c (Å): 5.0802 5.0802 6.9312
angles (deg): 90.00 90.00 90.00
Space group P4/mmm (No. 123)
Symmetry-distinct sites (fractional):
1 La 0.0000 0.0000 0.0000 x1
2 Er 0.0000 0.0000 0.5000 x1
3 Er 0.5000 0.5000 0.0000 x1
4 Au 0.0000 0.5000 0.2630 x4

=====

The following is a calculated powder XRD pattern of La2ErAu3. It was derived from a PBE-relaxed structure, using Cu Ka.

Largest 6 diffraction maxima, low angle first, 10 to 80 degrees two-theta:
33.49°, I = 24
34.27°, I = 100
34.64°, I = 25
48.95°, I = 16
60.37°, I = 14
61.85°, I = 28

Cell and atoms:
a b c (Å): 5.1794 16.0537 3.6797
angles (deg): 90.00 90.00 90.00
Space group Pmmn (No. 59, origin choice 2)
Symmetry-distinct sites (fractional):
1 La 0.2500 0.0808 0.0147 x4
2 Er 0.2500 0.7500 0.9882 x2
3 Au 0.2500 0.2500 0.5083 x2
4 Au 0.2500 0.6004 0.4862 x4


Computed powder diffractogram
Compound: Mg2ZnSn
Radiation: λ = 1.5418 Å (Cu Kα)
Structure: DFT lattice parameters and positions (PBE)

```
Mg2ZnSn
1.0
7.0364 0.0000 0.0000
0.0000 7.0364 0.0000
0.0000 0.0000 7.0364
Mg Zn Sn
8 4 4
Cartesian
0.0000 0.0000 0.0000
0.0000 3.5182 3.5182
1.7591 1.7591 1.7591
1.7591 5.2773 5.2773
3.5182 0.0000 3.5182
3.5182 3.5182 0.0000
5.2773 1.7591 5.2773
5.2773 5.2773 1.7591
1.7591 1.7591 5.2773
1.7591 5.2773 1.7591
5.2773 1.7591 1.7591
5.2773 5.2773 5.2773
0.0000 0.0000 3.5182
0.0000 3.5182 0.0000
3.5182 0.0000 0.0000
3.5182 3.5182 3.5182
```

Peak list (6 most intense, 2θ from 5° to 70°, in order of falling intensity)
| Position (°2θ) | d (Å) | I_rel |
| --- | --- | --- |
| 36.1 | 2.488 | 100 |
| 21.9 | 4.062 | 43 |
| 64.9 | 1.436 | 36 |
| 42.6 | 2.122 | 24 |
| 52.0 | 1.759 | 17 |
| 57.1 | 1.614 | 10 |